Should be the protagonist of Dies irae


Name: Yusa Shirou, Georgios (magic name)
Origin: Dies irae
Gender: Male
Classification: Human, Legionnaire, Apoptosis, Observer
Age: 16 years old
Powers and Abilities: Superhuman characteristics, enhanced senses, immortality (types 1 and 3), regeneration (at least low-mid, low-godly under specific conditions), limmited non-corporeality, soul manipulation, expert marksman
Weaknesses: Nothing notable...aside from his self-destructive tendencies
Destructive Capacity: Large building level+ with Holy Relic | Multiverse level+ (Malignant Tumor Apoptosis is powerful enough to harm Mercurius and Reinhard)
Range: Dozen of meters | Multiversal+
Speed: Supersonic+, massively hypersonic+ reactions | Irrelevant
Durability: City level+ | Multiverse level+
Lifting Strength: Superhuman
Striking Strength: Class MJ+
Stamina: Superhuman (but requires supply of souls to fight) | Infinite
Standard Equipment: Desert Eagle, Honda Valkyrie Rune, Elizabeth Bathory (his Holy Relic, usurped from Rusalka), cigarettes, occasionally has access to different weapons/tools like: Claymore mines, dynamite and liquid nitrogen
Intelligence: Very huge. Shirou is usually reponsible for planning in his group and thanks to his ideas he could fight with such a powerful opponents like Bey and Schreiber even without Holy Relic
Notable Attacks/Techniques:


- die Ewigkeit: eternity destruction. Magical formula created by Mercurius to support ascension to godhood. Alchemy that fuses user and Holy Relic to create superhuman. It enables its user to use souls as a weapon and armor.

  • Spiritual attack: through Ewigkeit, entire body of the Apostle turns into murderous weapon. It's useless to block it physically, what it damages is the very essence of the human, soul. Regardless of absence of pain and body status, just by slightest touch it can kill anyone. Thus, even incorporeal spirits can't survive in front of this power.

    • History poison: by exploiting thoughts and emotion that make up Holy Relic, Apostle can use this superimposed history as a deadly poison that damages body and inhibits regeneration.

  • Spiritual armor: Apostles use absorbed souls in the form of powerful, spiritual defense. Natural durability raises in proportion of absorbed souls. At around 300 souls, it's impossible to harm Apostle with anything on Earth, including nukes. Rusalka has few times that amount. That's why spiritual attacks is the best way to harm them.

  • Enhanced senses: physical strength is not the only thing that die Ewigkeit can supplement. This applies to senses too. Their vision can now accurately see in a few hundred meters and their hearing can recognize voices even through obstructions.

    • Spiritual vision: along with their enhanced senses, Apostles gain ability to perceive souls. This allows them to measure quality of the soul and see when physical vision is useless. This also let them see what is otherwise invisible (like "flying slashes" from Ren's Assiah).

  • Immortality: because Apostles effectively acquire lifeforce of all beings they have eaten, naturally their lifeforce can't even be compared with normal humans. Diseases, poisons and alcohol is no longer effective. Since soul detoriates with age, sucking souls prevents this impending doom by prolonging time when soul whithers completely. Thus, Apostle can only be killed by destroying Holy Relic and all souls it contains.

    • Regeneration: Apostle can easily rebuild own's body by absorbing souls of others. Injuries such as missing limbs or deep wounds can be healed just by sacrificing souls in the stock. And by exploiting spiritual limits (limit of souls one's can absorb) it's possible to heal from any injury by attacking with entire stock in a one attack, thus healing in proportion (that's entire body).

    • Non-corporeality: even with soul consumed, it still doesn't mean death to an Apostle. Strong souls can keep their ego even while absorbed. Apostle can takeover Holy Relic of another consumer, dominate body and rebuild physical body from nothing. However, because of a strong causal bond between Apostle and Holy Relic it's very hard to accomplish and lost battle means losing own's ego.

  • Information absorption: all information is recorded in the souls, from memories to emotions and personal experience. Apostle can use this knowledge for their own means. However, because of tremondous amount of information, high level computing capability is required and this ability is almost useless in the course of battle, because one's identity would disappear (unless it's someone with a huge ego, such as Reinhard or someone's crazy, such as Schreiber).


- Intuition: even without benefits of the Holy Relic, Shirou's senses are far from normal. Due to his motorcycle accident he lost sensation of pain, taste and smell, but his other senses were drastically improved, furthermore his brain secretes huge amount of adrenaline; thus providing him with miraculous intuition, being on a verge of sixth sense.

Materials data, kept here for reference:
____________
No. 1
A relaxed Ba2SiPb crystal, computed with PBE.

Output
Theoretical density ... 5.833 g/cm³
Density of states at the Fermi level ... 2.807 states/eV/f.u.
Total magnetization ... 0.0 μB per cell
Crystal system ... cubic
ΔE_f (raw) ... -211 meV/atom
Energy above the most stable polymorph in this dataset ... 224 meV per atom
Uncorrected energy ... -55.28 eV for the cell shown

Lattice parameters (Å, degrees): 8.3429 8.3429 8.3429 90.00 90.00 90.00
Closest atoms and distances in Å follow each position.
Space group Fm-3m (No. 225)
Inequivalent atoms, fractional coordinates:
1 Ba 0.2500 0.2500 0.2500 [8 per cell]  4 Si 3.61, 4 Pb 3.61
2 Si 0.0000 0.0000 0.0000 [4 per cell]  8 Ba 3.61
3 Pb 0.0000 0.0000 0.5000 [4 per cell]  8 Ba 3.61

---

No. 2
A relaxed NaTe3Pt crystal, computed with PBE.

Output
Theoretical density ... 6.673 g/cm³
Density of states at the Fermi level ... 8.046 states/eV/f.u.
Total magnetization ... 0.0 μB per cell
Crystal system ... cubic
ΔE_f (raw) ... 1083 meV/atom
Energy above the most stable polymorph in this dataset ... 1114 meV per atom
Uncorrected energy ... -11.37 eV for the cell shown

Lattice parameters (Å, degrees): 5.3078 5.3078 5.3078 90.00 90.00 90.00
Closest atoms and distances in Å follow each position.
Space group Pm-3m (No. 221)
Inequivalent atoms, fractional coordinates:
1 Na 0.0000 0.0000 0.0000 [1 per cell]  6 Te 2.65
2 Te 0.0000 0.0000 0.5000 [3 per cell]  2 Na 2.65
3 Pt 0.5000 0.5000 0.5000 [1 per cell]  12 Te 3.75

---

No. 3
A relaxed SrTePdI2 crystal, computed with PBE.

Output
Theoretical density ... 3.993 g/cm³
Density of states at the Fermi level ... 2.030 states/eV/f.u.
Total magnetization ... 0.0 μB per cell
Crystal system ... tetragonal
ΔE_f (raw) ... 154 meV/atom
Energy above the most stable polymorph in this dataset ... 857 meV per atom
Uncorrected energy ... -12.34 eV for the cell shown

Lattice parameters (Å, degrees): 6.2527 6.2527 6.1206 90.00 90.00 90.00
Closest atoms and distances in Å follow each position.
Space group P4/mmm (No. 123)
Inequivalent atoms, fractional coordinates:
1 Sr 0.0000 0.0000 0.0000 [1 per cell]  2 Te 3.06
2 Te 0.0000 0.0000 0.5000 [1 per cell]  2 Sr 3.06, 4 I 3.13
3 Pd 0.5000 0.5000 0.0000 [1 per cell]  8 I 4.37, 4 Sr 4.42
4 I 0.0000 0.5000 0.5000 [2 per cell]  2 Te 3.13

---

- total magnetization of number 3 (SrTePdI2)?
  0.0 μB per cell

---

- What is the formula in the second record?
  NaTe3Pt

---

- What is the formula in the third record?
  SrTePdI2

~~~~~

1.
SrSb2Au: optimized geometry, PBE-GGA.

Cell lengths 4.8171, 4.8171, 4.5940 Å; angles 90.00, 90.00, 90.00 degrees
Last column: nearest neighbours and their distance in Å.
Fractional positions:
Sr: 0.0000 0.0000 0.0000  8 Sb 3.33, 4 Au 3.41
Sb: 0.0000 0.5000 0.5000  4 Au 3.33, 4 Sr 3.33, 4 Sb 3.41
Sb: 0.5000 0.0000 0.5000  4 Au 3.33, 4 Sr 3.33, 4 Sb 3.41
Au: 0.5000 0.5000 0.0000  8 Sb 3.33, 4 Sr 3.41

Summary:
M_tot	0.00	μB/f.u.
crystal system	tetragonal
mass density	8.23	g cm⁻³
____________



- Elizabeth Bathory: Shirou's Holy Relic, fusion type, diary of Elizabeth Bathory, usurped from Rusalka. Contrary to her phenomenon type, Shirou can change any part of his body into various torture devices described in a diary.

  • Chain: chain extending from Shirou's hand up to twenty meters. Powerful enough to withstand pressure of 10 tons.

  • Magic bullets: Shirou demonstrated uncanny ability to grant his Desert Eagle's bullets attributes of the Holy Relic. Upon contact they can release powerful venom or dozens of needles.

  • Iron Maiden: Shirou opens cavity inside of his chest filled with countless fangs that grind everything which comes in contact with it. Shirou can use devoured flesh to recover parts of his body or destroyed torture devices.


The Best Team


- Soul materialization: sufficiently powerful soul can materialize and aid its consumer in combat. However, feat like this isn't easy at all and requires strong bonds to pull it off. In Dies irae only Ren, Reinhard and Shirou himself could do that. Shirou managed to materialize Ellie Honjou.


- Apoptosis: self-destruction factor of Hadou God, force that will certaintly bring ruin to its host, reactionary existence that will occur whenever Hadou Gods has a suicidal wish, cancerous cells in otherwise perfect beings. Shirou is a natural Apoptosis of Fujii Ren, he's one from the very beginning, as Ren contains portion of Mercurius. Apoptosis always has the same amount of power as its host, which means that, without outside help, it's impossible for host to defeat own's Apoptosis. It won't stop until Hadou God it originated from is dead and unless Apoptosis fulfills this task, it's effectively immortal. However, killing Hadou God will result in death of Apoptosis, just like in real life.

  • Soul infection: just like in case of a real cancer, Apoptosis has tendency to spread on the rest of cells, in this case souls. Coming in close contact with Shirou will "help" other souls to see true nature of the law governing universe and potentially support in attaining godhood. In case of Mercurius' world, every soul succumbed to Apoptosis suffers from extreme case of Déjà vu. Also, this ability supports him in usurping Holy Relics of others.

  • Déjà vu: as an Apoptosis Shirou suffers from overwhelming amount of Déjà vu. Since in Mercurius' world it means that incoming event is simply repeated, Shirou has 100% certainty what will happen in the next moment. This's not related to foresight or anything like that, but rather absolute conviction that results will not change. Shirou jokingly dubbed it as "Invincible Mode", knowing he won't die if he won't see moment of his death. This ability works only in Mercurius' world and can't be used outside of plot.

  • Malignant Tumor Apoptosis: special ability of Shirou awakened when Ren turned into a Hadou God. Genuine god-killler. Self-destruction of supernatural phenomena. Rather than simply negating superpowers, this ability forces causality of self-destruction upon very phenomena that deviate from laws of physics, using it as the catalyst to directly harm its users. It's powerful enough to ignore difference in the amount of souls between Ren and other Hadou Gods and directly crush them, while at the same time expanding territory of Ren. If divine authority of Gods doesn't exceed that of Ren, then Shirou can effectively overturn any difference in power. However, since Shirou is still an Apoptosis of Ren, this ability is as harmful to him as it is to other Gods.



Notable OBD Victories:

Notable OBD Losses:


Key: Base | Apoptosis